
Thursday, January 14, 2010

-- The page is interrupted by materials data --
........
Record 1
Computed, not measured: an optimized crystal structure of ZrPC3 at the PBE-GGA level of DFT.

Values from the calculation:
Space group: Pm-3m
E above lowest polymorph, meV per atom: 1434
Formation energy from the elements, meV/atom: 2598
Crystal system: cubic

abc: 4.329 4.329 4.329
angles: 90.00 90.00 90.00
Fractional coordinates of all 5 atoms:
Zr: 0.000 0.000 0.000
P: 0.500 0.500 0.500
C: 0.000 0.000 0.500
C: 0.000 0.500 0.000
C: 0.500 0.000 0.000



Record 2
Computed, not measured: an optimized crystal structure of CaTlSeN2 at the PBE-GGA level of DFT.

Values from the calculation:
Space group: P4/mmm
E above lowest polymorph, meV per atom: 90
Crystal system: tetragonal

abc: 4.708 4.708 5.829
angles: 90.00 90.00 90.00
Fractional coordinates of all 5 atoms:
Ca: 0.000 0.000 0.000
Tl: 0.500 0.500 0.500
Se: 0.000 0.000 0.500
N: 0.000 0.500 0.000
N: 0.500 0.000 0.000



Record 3
Computed, not measured: an optimized crystal structure of BaLi2SnPb2 at the PBE-GGA level of DFT.

Values from the calculation:
Space group: P4/mmm
Formation energy from the elements, meV/atom: -225
Crystal system: tetragonal

abc: 5.115 5.115 6.857
angles: 90.00 90.00 90.00
Fractional coordinates of all 6 atoms:
Ba: 0.000 0.000 0.000
Li: 0.000 0.500 0.500
Li: 0.500 0.000 0.500
Sn: 0.000 0.000 0.500
Pb: 0.500 0.500 0.237
Pb: 0.500 0.500 0.763



| no. | V (Å³/atom) | E (eV for the cell shown) |
| --- | --- | --- |
| 1 | 16.2 | -28.64 |
| 2 | 25.8 | -19.68 |
| 3 | 29.9 | -18.52 |


{
  "formula": "LiNi3O3F",
  "functional": "PBE+U",
  "state": "optimized geometry",
  "dos_ef_per_ev_atom": 0.000,
  "sg": "P4/mmm, No. 123",
  "magmom_total_mub_per_cell": 6.00,
  "total_energy_ev_per_cell": -38.246,
  "crystal_system": "tetragonal",
  "volume_a3_per_atom": 9.31,
  "lattice": [[-0.677, 2.876, -0.210], [-2.041, -0.630, -2.052], [-5.840, -0.930, 6.093]],
  "species": ["F", "Ni", "Ni", "Ni", "O", "O", "O", "Li"],
  "fractional_positions": [[0.500, 0.500, 0.500], [0.500, 0.500, 0.247], [0.500, 0.500, 0.753], [0.000, 0.000, 0.000], [0.000, 0.000, 0.748], [0.500, 0.500, 0.000], [0.000, 0.000, 0.252], [0.000, 0.000, 0.500]]
}


--- w ---
MgOs2C: optimized geometry, PBE.

Cell and atoms, written as CIF:
```
data_MgOs2C
_cell_length_a 4.776
_cell_length_b 4.776
_cell_length_c 7.245
_cell_angle_alpha 70.75
_cell_angle_beta 70.75
_cell_angle_gamma 90.00
_symmetry_space_group_name_H-M 'P 1'
_symmetry_Int_Tables_number 1
loop_
_symmetry_equiv_pos_as_xyz
'x,y,z'
loop_
_atom_site_label
_atom_site_fract_x
_atom_site_fract_y
_atom_site_fract_z
Os1 0.875 0.682 0.750
Os2 0.432 0.125 0.250
Os3 0.375 0.568 0.750
Os4 0.318 0.625 0.250
C1 0.500 0.500 0.000
C2 0.250 0.750 0.500
Mg1 0.750 0.250 0.500
Mg2 0.000 0.000 0.000
```

The density of states at the Fermi level is 0.73 states/eV per atom. Its space group is I-42d, No. 122.

---

--- x ---
MgOs2C: optimized geometry, PBE.

Cell and atoms, written as CIF:
```
data_MgOs2C
_cell_length_a 4.133
_cell_length_b 4.133
_cell_length_c 4.133
........

All coming together

Here the entry breaks off for calculated crystals.
- - -
The following is a PBE calculation of a geometry-optimized Li2Pt4O9 structure, from the Alexandria database.

Calculated values
E_form (uncorrected) in eV per atom: -0.732
Calculated volume in Å³ per cell: 327.7

Cell: 5.1631 5.1631 14.1945 Å, 90.00 90.00 120.00°
Last column: nearest neighbours and their distance in Å.
Space group P-3c1 (No. 165)
One atom of each set of equivalent atoms:
Li  0.0000  0.0000  0.1556  6 O 2.07-2.10
Pt  0.3333  0.6667  0.0156  6 O 2.06
Pt  0.3333  0.6667  0.3176  6 O 2.02-2.13
O  0.0000  0.3143  0.2500  2 Pt 2.02, 2 Li 2.10
O  0.0379  0.3608  0.9201  3 Pt 2.06-2.13, 1 Li 2.07

~~~~~

The following is a GGA-PBE calculation of a relaxed Rb2NbTlCu crystal, from the Alexandria database.

Structure (extended XYZ):
```
5
Lattice="6.437 0.000 0.000 0.000 5.120 0.000 0.000 0.000 6.437" Properties=species:S:1:pos:R:3 pbc="T T T"
Nb 0.000 2.560 0.000
Tl 3.219 2.560 3.219
Rb 3.219 0.000 0.000
Rb 0.000 0.000 3.219
Cu 0.000 0.000 0.000
```

Computed properties:
E_form	1.019	eV per atom
space-group type	No. 123
theoretical density	4.16	g cm⁻³

***

The following is a GGA-PBE calculation of a relaxed RbYNb2Cu crystal, from the Alexandria database.

Structure (extended XYZ):
```
5
Lattice="4.930 0.000 0.000 0.000 5.014 0.000 0.000 0.000 4.930" Properties=species:S:1:pos:R:3 pbc="T T T"
Y 2.465 2.507 2.465
Nb 0.000 0.000 2.465
Rb 0.000 0.000 0.000
Nb 2.465 0.000 0.000
Cu 0.000 2.507 0.000
```

Computed properties:
E_form	2.124	eV per atom
space-group type	No. 123
theoretical density	5.77	g cm⁻³

***

The following is a GGA-PBE calculation of a relaxed RbNb2ZnCu crystal, from the Alexandria database.

Structure (extended XYZ):
```
5
Lattice="4.881 0.000 0.000 0.000 4.751 0.000 0.000 0.000 4.881" Properties=species:S:1:pos:R:3 pbc="T T T"
Rb 0.000 0.000 0.000
Zn 2.440 2.375 2.440
Cu 0.000 2.375 0.000
Nb 2.440 0.000 0.000
Nb 0.000 0.000 2.440
```

Computed properties:
E_form	2.607	eV per atom
space-group type	No. 123
theoretical density	5.87	g cm⁻³

***

The following is a GGA-PBE calculation of a relaxed NbCuRe2 crystal, from the Alexandria database.

Structure (extended XYZ):
```
8
Lattice="7.074 0.000 0.000 0.000 7.074 0.000 3.537 3.537 2.619" Properties=species:S:1:pos:R:3 pbc="T T T"
Cu 3.537 3.537 0.000
Re 5.210 1.768 0.655
Re 8.842 8.747 1.964
Cu 3.537 7.074 1.309
Nb 0.000 0.000 0.000
Nb 7.074 3.537 1.309
Re 5.305 5.400 1.964
Re 1.863 5.305 0.655
```

Computed properties:
E_form	0.891	eV per atom
energy relative to the lowest polymorph listed for this composition	577.1	meV per atom
space-group type	No. 122
theoretical density	13.40	g cm⁻³
- - -

So it's all starting to come together at work for me now. This week I've been doing less cleaning and more counting and sorting. I'm starting to feel like the place is more mine than someone else's, which is really nice. I'm thinking that within the next 5 days or so I'll have it all up to speed, then I'll only have to worry about doing the daily work and getting the computer to order the correct things.
My supervisor stopped by today to help out with the ice/snow build-up outside. He seems great so far. I really like how laid back he is and his willingness to get dirty if need be. He also gave me a few compliments, which of course gave me some more confidence in what I'm doing.

At home we've been talking non-stop about Addie's impending 3rd birthday. She doesn't know exactly how far out it is, but she knows that she'll be 3 very soon. It's weird though, because she's been going through a bit of a regression of sorts lately. She really wants to treated like a baby a lot, insisting she's a "big girl baby". I think a little bit of jealously is starting to sink in about Bethany and the past 4 months have been just crazy for her. In and out of daycare, back home with dad all day long, and now I'm gone even longer than before. Unfortunately (in Erik's mind) she has gotten into the habit of sleeping with me every night too. While Erik was out of town for work, I really liked cuddling up with her in bed and falling asleep. But now we've started a trend that is proving to be very hard to break. I really have no inclination to stop her from sleeping with me, but I know that it really irks Erik, so I'm trying to find a happy medium. I know that as we move closer and closer to Erik getting his job back, I'll be sleeping a lot alone and will have absolutely no qualms about allowing Addie in bed with me. But sometimes I catch myself second guessing and thinking that it's not a good idea. Either way, I think there are pros and cons to it and we'll just have to play it by ear.

I've also started tentatively planning a vacation to Ohio this spring. I've never been to Ohio and we've been promising to come and visit Erik's mom for a while now. I'm tired of every year saying "maybe next year". So I'm just going to do it, that's it! I'm really looking into taking a train ride there, but am nervous about the cost and how the girls will do. Either way it will be rough on them. A 13+ hour drive in the car, or a 18+ hour journey on the trains. At least on the trains we can get up and walk around and I can focus on the girls. I'll let you know when we get closer to the date what we intend on doing.

1 comment:

  1. I am SO glad that work is going better for you! That just makes the days go by faster! I wake up to Ethan in our bed every morning. I actually LOVE it because he is so sweet to cuddle up with. However, when I get bigger, I don't think he will fit :-( Eventually, he will want to sleep all night in his room, but I don't want to evict him just yet :-) I would say trains, so you can play with the girls and you can all take a nap together if needed! Driving is stressful! We drove to MN (10 hours) this past fall and it was tough. Good luck!
